This video explains how to make a live quiz, including everything in this article. If you are looking for a specific part in the video, please click the bottom-right button to watch it on YouTube, where you can find each section time-stamped in the description of the video.
In a quiz, participants in your presentation compete against each other to get the most points by submitting the most correct answers to your quiz questions.
You progress through the quiz, pausing at each slide for players to answer the question on that slide. All players will see a question at the same time on their personal devices, they will be able to submit the answer from there before the time runs out.
Here you can see the screens of the quiz host (on the left-hand computer) and the quiz player (on the right-hand phone).
On the presentation editor, create a new slide and select any of the 4 'quiz' slides as the format for that question (Spinner Wheel is not a scored quiz slide).
15-Second Explainer ⏰: Leaderboard Slides 🏆
Once you have selected your quiz slide, a leaderboard slide will automatically generate after it.
A leaderboard slide will reveal the points tally for every quiz question that came before that leaderboard slide.
The final leaderboard slide will reveal the winner of the whole quiz:
If you want to hold your leaderboard slides until the end of the round, or the end of the quiz, simply delete all the leaderboard slides except for the ones you want to show.
On the leaderboard slide, you can manually award and deduct points. Simply hover over the name on the leaderboard, click 'Points' and enter how many points you would like to award, or enter a minus sign (-) followed by how many points you would like to deduct. (See here for more).
What comes next are calculated crystals, not part of the entry:
........
(1)
Crystalline U3Tl4ZnSe8 at its relaxed geometry, computed with PBE.

Properties
V: 29.0 A^3/atom
Magnetic moment: 7.96 Bohr magnetons per cell
Formation energy without anion corrections: -781 meV per atom

a = 8.293 Å, b = 9.149 Å, c = 8.294 Å
α = 116.96°, β = 120.00°, γ = 90.00°
Element x y z (fractional)
Se 0.772 0.302 0.544
Se 0.772 0.303 0.031
Se 0.228 0.697 0.969
Se 0.258 0.303 0.031
Se 0.742 0.697 0.969
Se 0.228 0.698 0.456
Se 0.264 0.292 0.528
Se 0.736 0.708 0.472
Tl 0.500 0.000 0.500
Tl 0.000 0.000 0.000
Tl 0.000 0.000 0.500
Tl 0.500 0.000 0.000
U 0.500 0.500 0.500
U 0.500 0.500 0.000
U 0.000 0.500 0.500
Zn 0.000 0.500 0.000

=====

(2)
Crystalline ZrU2Tl3Se6 at its relaxed geometry, computed with PBE.

Properties
V: 28.3 A^3/atom
Magnetic moment: 7.07 Bohr magnetons per cell
Formation energy without anion corrections: -910 meV per atom

a = 7.003 Å, b = 7.003 Å, c = 8.337 Å
α = 98.06°, β = 98.06°, γ = 119.97°
Element x y z (fractional)
Zr 0.000 0.000 0.000
Tl 0.500 0.500 0.500
Tl 0.172 0.828 0.500
Tl 0.828 0.172 0.500
U 0.334 0.666 0.000
U 0.666 0.334 0.000
Se 0.389 0.068 0.204
Se 0.068 0.389 0.204
Se 0.251 0.251 0.792
Se 0.749 0.749 0.208
Se 0.932 0.611 0.796
Se 0.611 0.932 0.796

=====

(3)
Crystalline Zr2UTl3Se6 at its relaxed geometry, computed with PBE.

Properties
V: 27.4 A^3/atom
Magnetic moment: 3.58 Bohr magnetons per cell
Formation energy without anion corrections: -941 meV per atom

a = 6.745 Å, b = 6.745 Å, c = 8.676 Å
α = 97.62°, β = 97.62°, γ = 120.11°
Element x y z (fractional)
Se 0.067 0.412 0.197
Se 0.279 0.279 0.805
Se 0.933 0.588 0.803
Se 0.412 0.067 0.197
Se 0.588 0.933 0.803
Se 0.721 0.721 0.195
U 0.000 0.000 0.000
Tl 0.500 0.500 0.500
Tl 0.162 0.838 0.500
Tl 0.838 0.162 0.500
Zr 0.668 0.332 0.000
Zr 0.332 0.668 0.000

=====

(4)
Crystalline ZrU2Tl2Se6 at its relaxed geometry, computed with PBE.

Properties
V: 30.4 A^3/atom
Magnetic moment: 6.01 Bohr magnetons per cell
Formation energy without anion corrections: -1022 meV per atom

a = 6.947 Å, b = 6.947 Å, c = 8.330 Å
α = 98.21°, β = 98.21°, γ = 119.80°
Element x y z (fractional)
Tl 0.170 0.830 0.000
Tl 0.830 0.170 0.000
Se 0.252 0.252 0.296
Se 0.748 0.748 0.704
Se 0.929 0.609 0.296
Se 0.391 0.071 0.704
Se 0.071 0.391 0.704
Se 0.609 0.929 0.296
Zr 0.000 0.000 0.500
U 0.667 0.333 0.500
U 0.333 0.667 0.500

=====

(5)
Crystalline ZrUTl2Se4 at its relaxed geometry, computed with PBE.

Properties
V: 27.7 A^3/atom
Magnetic moment: 3.45 Bohr magnetons per cell
Formation energy without anion corrections: -923 meV per atom

a = 3.950 Å, b = 6.881 Å, c = 8.439 Å
α = 105.00°, β = 90.00°, γ = 90.00°
Element x y z (fractional)
U 0.000 0.000 0.000
Se 0.000 0.280 0.802
Se 0.500 0.246 0.206
Se 0.000 0.720 0.198
Se 0.500 0.754 0.794
Tl 0.000 0.500 0.500
Tl 0.500 0.000 0.500
Zr 0.500 0.500 0.000

=====

(6)
Crystalline Zr2UTl2Se6 at its relaxed geometry, computed with PBE.

Properties
V: 29.1 A^3/atom
Magnetic moment: 3.76 Bohr magnetons per cell
........
Now you are able to edit your slide. Here's what a 'pick answer' slide will look like when it's ready to edit:
3. Change the settings - Each quiz slide in your quiz has its own settings. Scroll down in the right-hand column to find the settings for your quiz question:
- Points: The maximum and minimum number of points it is possible to get on that question. If the 'Faster answers get more points' box is unchecked, then any correct answer will receive the maximum number of points.
- Faster answers get more points: Check this box to encourage players to answer quicker. For example, if the 'time to answer' is 100 seconds and the 'reward points' is set to 100 maximum and 0 minimum, then a player submitting their answer with 80 seconds left will receive 80 points.
- Time limit: The amount of seconds each player has to answer the question.
- Leaderboard: If this box is checked then the leaderboard will show when you move to the next slide. If unchecked, moving to the next slide will simply bring up the next quiz question.
+++
Record 1
This record from Alexandria via LeMat-Bulk describes a relaxed BeNbCr crystal. The functional is GGA-PBE.

Properties
E_form (kJ/mol of atoms): -11.5
Relative energy among the computed polymorphs (kJ/mol of formula units): 0
M_tot (μB per cell): 0.0

Cell lengths 3.364, 3.364, 6.744 Å; angles 90.00, 90.00, 90.00 degrees
Atoms (fractional coordinates):
Nb: 0.750 0.750 0.363
Nb: 0.250 0.250 0.637
Be: 0.750 0.750 0.752
Be: 0.250 0.250 0.248
Cr: 0.250 0.750 0.000
Cr: 0.750 0.250 0.000

=====

Record 2
This record from Alexandria via LeMat-Bulk describes a relaxed Sc6MnRu5 crystal. The functional is GGA-PBE.

Properties
E_form (kJ/mol of atoms): -46.6
M_tot (μB per cell): 3.7

Cell lengths 4.550, 6.491, 7.897 Å; angles 114.27, 106.74, 90.00 degrees
Each line ends with the local moment (μB).
Atoms (fractional coordinates):
Sc: 0.829 0.572 0.657  -0.01
Sc: 0.829 0.085 0.657  -0.01
Sc: 0.500 0.738 0.000  -0.04
Sc: 0.500 0.262 0.000  -0.04
Sc: 0.171 0.915 0.343  -0.01
Sc: 0.171 0.428 0.343  -0.01
Ru: 0.659 0.159 0.318  0.13
Ru: 0.332 0.332 0.664  0.00
Ru: 0.000 0.500 0.000  0.05
Ru: 0.668 0.668 0.336  0.00
Ru: 0.341 0.841 0.682  0.13
Mn: 0.000 0.000 0.000  3.35

=====

Record 3
This record from Alexandria via LeMat-Bulk describes a relaxed Pr3Dy4Y4 crystal. The functional is GGA-PBE.

Properties
E_form (kJ/mol of atoms): 16.4
Relative energy among the computed polymorphs (kJ/mol of formula units): 18
M_tot (μB per cell): 0.0

Cell lengths 3.579, 11.037, 11.037 Å; angles 61.53, 80.67, 80.67 degrees
Atoms (fractional coordinates):
Pr: 0.892 0.108 0.108
Pr: 0.108 0.892 0.892
Pr: 0.000 0.500 0.500
Dy: 0.778 0.722 0.722
Dy: 0.222 0.278 0.278
Dy: 0.500 0.791 0.209
Dy: 0.500 0.209 0.791
Y: 0.671 0.089 0.569
Y: 0.329 0.431 0.911
Y: 0.329 0.911 0.431
Y: 0.671 0.569 0.089

=====

- Among the records above, which one has the highest E_form?
  Pr3Dy4Y4

=====

Copy entry 3 word for word.
This record from Alexandria via LeMat-Bulk describes a relaxed Pr3Dy4Y4 crystal. The functional is GGA-PBE.

Properties
E_form (kJ/mol of atoms): 16.4
Relative energy among the computed polymorphs (kJ/mol of formula units): 18
M_tot (μB per cell): 0.0

Cell lengths 3.579, 11.037, 11.037 Å; angles 61.53, 80.67, 80.67 degrees
Atoms (fractional coordinates):
Pr: 0.892 0.108 0.108
Pr: 0.108 0.892 0.892
Pr: 0.000 0.500 0.500
Dy: 0.778 0.722 0.722
Dy: 0.222 0.278 0.278
Dy: 0.500 0.791 0.209
Dy: 0.500 0.209 0.791
Y: 0.671 0.089 0.569
Y: 0.329 0.431 0.911
Y: 0.329 0.911 0.431
Y: 0.671 0.569 0.089

=====

- Which of these has the highest M_tot?
  Sc6MnRu5

=====

- The highest E_form belongs to which entry?
  Pr3Dy4Y4

=====

No. 1
Pm4Sb2N GGA-PBE relaxed; offset from the most stable computed form = 0.0337 eV per atom; density = 6.94 g cm⁻³; E_form (uncorrected) = -1.026 eV per atom
1.0
6.8697 0.0000 0.0000
0.0000 6.7885 0.0000
-2.9331 0.0000 8.5981
Pm Sb N
8 4 2
Cartesian
-0.7700 0.0183 2.4270
-0.7700 3.3760 2.4270
2.3213 1.6971 0.4793
1.0332 1.6971 5.5765
2.9035 5.0914 3.0216
+++
When you have created your quiz slides, you can either invite your players to join your presentation, or you can join it yourself on your phone to test it out (which we recommend).
Next to the article, the page also holds calculated crystals:
........
[1]
The following is a PBE calculation of crystalline Ba2CuAs at its relaxed geometry, from Alexandria.

```
4
Lattice="5.529 0.000 0.000 2.765 4.788 0.000 2.765 1.596 4.515" Properties=species:S:1:pos:R:3 pbc="T T T"
As 5.529 3.192 2.257
Ba 0.000 0.000 0.000
Ba 2.765 1.596 1.129
Cu 8.294 4.788 3.386
```

Summary:
Magnetic moment (μB per atom): 0.000
Uncorrected energy (eV per cell): -12.79
Density of states at the Fermi level (states/eV/atom): 0.441
ΔH_f (0 K) (eV per atom): -0.05
Space-group type: F-43m, No. 216


[2]
The following is a PBE calculation of crystalline Li2AgPb at its relaxed geometry, from Alexandria.

```
8
Lattice="7.540 0.000 0.000 0.000 7.540 0.000 3.770 3.770 2.950" Properties=species:S:1:pos:R:3 pbc="T T T"
Pb 0.000 0.000 0.000
Pb 7.540 3.770 1.475
Ag 3.770 3.770 0.000
Ag 3.770 7.540 1.475
Li 5.460 1.885 0.737
Li 2.080 5.655 0.737
Li 5.655 5.850 2.212
Li 9.425 9.229 2.212
```

Summary:
Magnetic moment (μB per atom): 0.000
Uncorrected energy (eV per cell): -21.21
Density of states at the Fermi level (states/eV/atom): 0.365
ΔH_f (0 K) (eV per atom): -0.05
Space-group type: I-42d, No. 122


[3]
The following is a PBE calculation of crystalline Mg4PdRh at its relaxed geometry, from Alexandria.

```
6
Lattice="3.206 -0.001 0.000 0.001 3.206 0.000 -0.001 -0.001 10.331" Properties=species:S:1:pos:R:3 pbc="T T T"
Mg 1.603 1.602 8.878
Mg 1.603 1.603 1.453
Mg 3.206 3.205 6.706
Mg 0.000 0.000 3.625
Pd 1.603 1.602 5.166
Rh 0.000 0.000 0.000
```

Summary:
Magnetic moment (μB per atom): 0.000
Uncorrected energy (eV per cell): -21.79
Density of states at the Fermi level (states/eV/atom): 0.327
ΔH_f (0 K) (eV per atom): -0.48
Space-group type: P4/mmm, No. 123


[4]
The following is a PBE calculation of crystalline CdHgTe2 at its relaxed geometry, from Alexandria.

```
16
Lattice="-5.498 -1.336 3.541 0.164 -11.119 -3.942 3.783 -1.788 5.199" Properties=species:S:1:pos:R:3 pbc="T T T"
Te -1.900 -10.449 -0.605
Te -0.125 -3.570 4.752
Te 2.657 -5.116 2.196
Te -4.681 -8.903 1.950
Te -2.756 -12.011 3.765
Te 0.732 -2.009 0.383
Te -1.984 -4.890 1.368
Te -0.040 -9.129 2.779
Hg 2.254 -7.568 3.789
Hg -2.386 -7.345 2.959
Hg 0.445 -12.234 -0.782
Hg -0.576 -2.680 7.530
Cd 2.336 -13.128 1.817
Cd -2.469 -1.785 4.929
Cd 0.362 -6.675 1.188
Cd -0.495 -8.238 5.558
```

Summary:
Magnetic moment (μB per atom): 0.000
Uncorrected energy (eV per cell): -32.67
Density of states at the Fermi level (states/eV/atom): 0.024
Space-group type: P4_2/nmc, No. 137
Formation energy without anion corrections (eV/atom): -0.167


[5]
The following is a PBE calculation of crystalline LiCa2ZnIn6 at its relaxed geometry, from Alexandria.

```
10
Lattice="7.126 -1.265 -1.621 -0.796 7.004 1.333 2.208 4.036 5.597" Properties=species:S:1:pos:R:3 pbc="T T T"
Li 3.165 2.870 -0.144
Ca 2.237 6.980 3.459
Ca 6.302 2.796 1.850
Zn 0.000 0.000 0.000
In 1.551 5.323 0.598
In 7.742 7.438 4.200
In 3.085 3.780 2.703
In 6.987 4.452 4.710
In 0.796 2.337 1.109
In 5.453 5.996 2.605
```

Summary:
........
To start, press the blue 'Present' button in the top-right corner of the editor. This will take you into the quiz lobby, where players join your quiz before you start hosting it.
In the lobby, your players can join your quiz using either the URL code or QR code in the left-hand column.
👉 Important
If a player joins the presentation while the host is presenting a non-quiz slide (like a poll, heading or content slide), then that player has not yet joined the quiz.
To join the quiz, the host needs to present a quiz slide. When they do...
Your first question will show on your screen and each player's phone screens. Players will have the time limit you specified in the settings to answer the question.
Proceed through your quiz like this until the final winner is announced at the end!
📊 Quiz Report
Once you've finished presenting your quiz, you can check your presentation report to see how well your players did.
Find the report by clicking 'View presentation report' button in the top right toolbar and it will take you to the 'Participant Report', then you will be taken to your report page
Aside from the settings you can make on each slide (see step 2 for more details), you can also change the general settings for the whole quiz. These settings can be found by navigating to 'Settings' in the right side menu bar, followed by 'General quiz settings'.
Here you can turn on 'Play as teams'. Once you've done that, a button will appear inviting you to 'Set up' your teams.
When you click the 'Set up' button, you will be taken to the 'Team Set Up' menu, where you can do the following...
When players are joining the quiz, in addition to their name and avatar, they will be asked to select a team.
On leaderboard slides, the teams' scores will be shown. You can also click the button labelled 'Show Individual Ranking' to reveal the individual scores of each player in the quiz:
You can also let your players play a quiz without a host.
To set this up, navigate to the top toolbar of the editor and click 'Settings', followed by 'Who takes the lead'.
Select 'Audience (self-paced)'.
Now, your players will proceed through each question on their own. On leaderboard slides, they'll see their ranking against the rankings of every player who's already played the quiz.
1. Why isn't my quiz asking players for their names?
Usually, your quiz isn't asking players to fill out their name for one of two reasons:
2. How can I clear player answers on my quiz?
If you've just tested your quiz with a real device, want to reuse a quiz, or made a mistake and want to start a quiz over, you can clear any answers submitted to your quiz, all without affecting the content of your quiz.
3. How can I test my quiz?
The best way to test a quiz is by using Preview Mode. This is a test mode where you can try out your quiz from both the presenter screen and the player screen.